Nov 09, 2013Explorer
Should I buy a new TV or not?
Misplaced calculated crystals:
'''
Entry 1:
Computed, not measured: Ho5Ir2 after structural relaxation at the GGA-PBE level of DFT.

Computed properties:
Size of the total moment, Bohr magnetons per cell: 0.02

The structure in extended XYZ format:
```
14
Lattice="7.814 -3.243 0.000 7.814 3.243 0.000 -0.851 0.000 7.120" Properties=species:S:1:pos:R:3 pbc="T T T"
Ho 7.176 2.771 5.340
Ho 3.186 0.436 2.269
Ho 2.761 -0.436 5.828
Ho 6.324 0.786 0.582
Ho 8.878 0.786 2.978
Ho 5.899 -0.786 4.142
Ho 8.453 -0.786 6.538
Ho 12.016 0.436 1.291
Ho 11.591 -0.436 4.851
Ho 7.601 -2.771 1.780
Ir 5.740 1.831 3.037
Ir 9.462 1.831 0.522
Ir 5.315 -1.831 6.597
Ir 9.037 -1.831 4.082
```



Entry 2:
Computed, not measured: LiHo2Ir after structural relaxation at the GGA-PBE level of DFT.

The structure in extended XYZ format:
```
4
Lattice="0.000 3.461 3.461 3.461 0.000 3.461 3.461 3.461 0.000" Properties=species:S:1:pos:R:3 pbc="T T T"
Li 0.000 0.000 0.000
'''
Back to the text:
I'll start by saying, I KNOW that a new TV will be an improvement. Maybe even a really large improvement. However, I always choose to be frugal over spending money needlessly.
_Calculated crystals, as found in the file_
- - -
[1]
Compound: LiTiRh2
Source: the Materials Project database
Functional: r²SCAN
Structure: optimized geometry

## Properties
Calculated volume   13.37 Å³ per atom
Energy of formation   -0.6830 eV/atom
Final energy   -16.58 eV/atom

Cell: 4.2292 4.2292 4.2292 Å, 60.00 60.00 60.00°
With the nearest neighbours (Å) after each atom.
Fractional coordinates of all 4 atoms:
Li1 0.2500 0.2500 0.2500  8 Rh 2.59
Rh1 0.5000 0.5000 0.5000  4 Li 2.59, 4 Ti 2.59
Rh2 0.0000 0.0000 0.0000  4 Ti 2.59, 4 Li 2.59
Ti1 0.7500 0.7500 0.7500  8 Rh 2.59



[2]
Compound: LiTm2Rh
Source: the Materials Project database
Functional: r²SCAN
Structure: optimized geometry

## Properties
Calculated volume   19.99 Å³ per atom
Energy of formation   -0.5716 eV/atom
Final energy   -24.76 eV/atom

Cell: 4.8355 4.8355 4.8355 Å, 60.00 60.00 60.00°
With the nearest neighbours (Å) after each atom.
Fractional coordinates of all 4 atoms:
Tm1 0.5000 0.5000 0.5000  4 Rh 2.96, 4 Li 2.96
Tm2 0.0000 0.0000 0.0000  4 Li 2.96, 4 Rh 2.96
Rh1 0.7500 0.7500 0.7500  8 Tm 2.96
Li1 0.2500 0.2500 0.2500  8 Tm 2.96



[3]
Compound: LiTmRh2
Source: the Materials Project database
Functional: r²SCAN
Structure: optimized geometry

## Properties
Calculated volume   15.67 Å³ per atom
Energy of formation   -0.5901 eV/atom
Final energy   -22.04 eV/atom

Cell: 4.4583 4.4583 4.4583 Å, 60.00 60.00 60.00°
With the nearest neighbours (Å) after each atom.
Fractional coordinates of all 4 atoms:
Rh1 0.5000 0.5000 0.5000  4 Tm 2.73, 4 Li 2.73
Rh2 0.0000 0.0000 0.0000  4 Tm 2.73, 4 Li 2.73
Li1 0.2500 0.2500 0.2500  8 Rh 2.73
Tm1 0.7500 0.7500 0.7500  8 Rh 2.73



[4]
Compound: LiVRh2
Source: the Materials Project database
Functional: r²SCAN
Structure: optimized geometry

## Properties
Calculated volume   12.65 Å³ per atom
Energy of formation   -0.4574 eV/atom
Final energy   -16.64 eV/atom

Cell: 4.1515 4.1515 4.1515 Å, 60.00 60.00 60.00°
With the nearest neighbours (Å) after each atom.
Fractional coordinates of all 4 atoms:
V1 0.7500 0.7500 0.7500  8 Rh 2.54
Rh1 0.5000 0.5000 0.5000  4 Li 2.54, 4 V 2.54
Rh2 0.0000 0.0000 0.0000  4 V 2.54, 4 Li 2.54
Li1 0.2500 0.2500 0.2500  8 Rh 2.54



[5]
Compound: LiYb2Rh
Source: the Materials Project database
Functional: r²SCAN
Structure: optimized geometry

## Properties
Calculated volume   19.73 Å³ per atom
Energy of formation   -0.5962 eV/atom
Final energy   -25.49 eV/atom

Cell: 4.8144 4.8144 4.8144 Å, 60.00 60.00 60.00°
With the nearest neighbours (Å) after each atom.
Fractional coordinates of all 4 atoms:
Yb1 0.7500 0.7500 0.7500  4 Li 2.95, 4 Rh 2.95
Yb2 0.2500 0.2500 0.2500  4 Rh 2.95, 4 Li 2.95
Li1 0.5000 0.5000 0.5000  8 Yb 2.95
Rh1 0.0000 0.0000 0.0000  8 Yb 2.95



[6]
Compound: LiSm2Ru
Source: the Materials Project database
Functional: r²SCAN
Structure: optimized geometry

## Properties
Calculated volume   21.93 Å³ per atom
Energy of formation   -0.2059 eV/atom
Final energy   -22.03 eV/atom

Cell: 4.9876 4.9876 4.9876 Å, 60.00 60.00 60.00°
- - -
The feedback I'm looking for here is mostly, do I have a need? or, am I bit by the bug?
My current TV (in signature) is about as weak a half ton as you can find. 280hp/280tq. My trailer (has been weighed) is at 4000lbs loaded.
We live right at the Appalachian Mtns, so we're always in the hills, and pull a 6-7% grade for a few miles at the beginning of most trips. Our current truck does the job around here. Yes, it is in second gear at 40mph going up the steeper grades, but it does it. And, it doesn't bother me to be geared down for a few miles at a time.
For local towing, I don't mind the current setup. However, we have a 6 week trip to the four corners area of the southwest this coming summer. We've never been out west, and don't know what sorts of grades we might get into. I know that we'll climb much higher elevations.
Here's a map of the loop we're taking. In a nutshell, Grand Canyon, Bryce, Zion, Mesa Verde, Durango, Colorado Springs.

For those of you that have traveled this area as well as Appalachia, am I making a mistake to try this trip with my current truck? I certainly don't want to get out there with my wife and kids and blow up the truck! It has low mileage (95,000) and has never had mechanical issue. I don't mind the stress of being at my towing limits, but will the truck? 7% for 10 minutes is one thing, but will I be seeing 7% for hours at a time?
The feedback I'm looking for here is mostly, do I have a need? or, am I bit by the bug?
My current TV (in signature) is about as weak a half ton as you can find. 280hp/280tq. My trailer (has been weighed) is at 4000lbs loaded.
**Between two parts of the text: calculated crystals**
1.
First-principles (PBE) data for a relaxed structure of Cd3Pd, as listed in the Materials Project database.

Properties
V = 19.415 Å³ per atom
DFT formation energy = -0.2186 eV per atom
Space group = I4/mmm, No. 139

a b c (Å): 4.154 4.154 9.002
angles (deg): 90.00 90.00 90.00
Fractional positions:
1 Cd 0.000 0.000 0.000
2 Cd 0.000 0.500 0.250
3 Cd 0.000 0.500 0.750
4 Cd 0.500 0.000 0.250
5 Cd 0.500 0.000 0.750
6 Cd 0.500 0.500 0.500
7 Pd 0.000 0.000 0.500
8 Pd 0.500 0.500 0.000

---

2.
First-principles (PBE) data for a relaxed structure of Cd85Pd27, as listed in the Materials Project database.

Properties
Total magnetic moment = 0.1 μB/f.u.
V = 19.801 Å³ per atom
DFT formation energy = -0.2331 eV per atom
Space group = Fmm2, No. 42

a b c (Å): 30.678 8.832 31.110
angles (deg): 79.02 16.42 84.57
Fractional positions:
1 Cd 0.006 0.785 0.994
2 Cd 0.013 0.568 0.074
3 Cd 0.018 0.201 0.449
4 Cd 0.021 0.306 0.694
5 Cd 0.028 0.804 0.435
6 Cd 0.035 0.952 0.812
7 Cd 0.055 0.436 0.564
8 Cd 0.061 0.076 0.552
9 Cd 0.076 0.061 0.311
10 Cd 0.100 0.290 0.710
11 Cd 0.120 0.521 0.102
12 Cd 0.141 0.514 0.859
13 Cd 0.150 0.150 0.850
14 Cd 0.164 0.625 0.605
15 Cd 0.188 0.799 0.965
16 Cd 0.189 0.284 0.716
17 Cd 0.199 0.801 0.420
18 Cd 0.201 0.018 0.331
19 Cd 0.218 0.663 0.088
20 Cd 0.242 0.952 0.693
21 Cd 0.263 0.353 0.289
22 Cd 0.267 0.565 0.196
23 Cd 0.276 0.314 0.042
24 Cd 0.276 0.930 0.427
25 Cd 0.284 0.189 0.811
26 Cd 0.290 0.100 0.900
27 Cd 0.299 0.628 0.621
28 Cd 0.306 0.021 0.979
29 Cd 0.307 0.887 0.758
30 Cd 0.310 0.849 0.526
31 Cd 0.314 0.276 0.367
32 Cd 0.353 0.263 0.095
33 Cd 0.379 0.548 0.701
34 Cd 0.395 0.395 0.375
35 Cd 0.395 0.395 0.836
36 Cd 0.395 0.922 0.078
37 Cd 0.420 0.580 0.199
38 Cd 0.436 0.055 0.945
39 Cd 0.448 0.689 0.939
40 Cd 0.474 0.684 0.690
41 Cd 0.499 0.926 0.074
42 Cd 0.514 0.141 0.486
43 Cd 0.521 0.120 0.257
44 Cd 0.529 0.765 0.235
45 Cd 0.548 0.379 0.372
46 Cd 0.551 0.669 0.982
47 Cd 0.562 0.893 0.107
48 Cd 0.565 0.267 0.972
49 Cd 0.568 0.013 0.345
50 Cd 0.573 0.634 0.724
51 Cd 0.580 0.420 0.801
52 Cd 0.625 0.164 0.605
53 Cd 0.628 0.299 0.452
54 Cd 0.633 0.958 0.686
55 Cd 0.634 0.573 0.070
56 Cd 0.650 0.699 0.301
57 Cd 0.655 0.926 0.432
58 Cd 0.663 0.218 0.031
59 Cd 0.669 0.551 0.799
60 Cd 0.674 0.820 0.180
61 Cd 0.684 0.474 0.151
62 Cd 0.689 0.448 0.924
63 Cd 0.699 0.650 0.350
64 Cd 0.711 0.905 0.737
65 Cd 0.743 0.898 0.479
66 Cd 0.765 0.529 0.471
67 Cd 0.785 0.006 0.215
68 Cd 0.799 0.188 0.048
69 Cd 0.801 0.199 0.580
70 Cd 0.804 0.028 0.733
71 Cd 0.820 0.674 0.326
72 Cd 0.849 0.310 0.316
73 Cd 0.887 0.307 0.048
74 Cd 0.893 0.562 0.438
75 Cd 0.898 0.743 0.880
76 Cd 0.905 0.711 0.647
77 Cd 0.912 0.969 0.782
78 Cd 0.922 0.395 0.605
79 Cd 0.926 0.499 0.501
80 Cd 0.926 0.655 0.987
81 Cd 0.930 0.276 0.366
82 Cd 0.952 0.035 0.201
83 Cd 0.952 0.242 0.113
84 Cd 0.958 0.633 0.724
85 Cd 0.969 0.912 0.337
86 Pd 0.030 0.529 0.821
87 Pd 0.042 0.812 0.188
88 Pd 0.059 0.174 0.176
89 Pd 0.144 0.407 0.238
90 Pd 0.162 0.777 0.223
We live right at the Appalachian Mtns, so we're always in the hills, and pull a 6-7% grade for a few miles at the beginning of most trips. Our current truck does the job around here. Yes, it is in second gear at 40mph going up the steeper grades, but it does it. And, it doesn't bother me to be geared down for a few miles at a time.
For local towing, I don't mind the current setup. However, we have a 6 week trip to the four corners area of the southwest this coming summer. We've never been out west, and don't know what sorts of grades we might get into. I know that we'll climb much higher elevations.
Here's a map of the loop we're taking. In a nutshell, Grand Canyon, Bryce, Zion, Mesa Verde, Durango, Colorado Springs.

For those of you that have traveled this area as well as Appalachia, am I making a mistake to try this trip with my current truck? I certainly don't want to get out there with my wife and kids and blow up the truck! It has low mileage (95,000) and has never had mechanical issue. I don't mind the stress of being at my towing limits, but will the truck? 7% for 10 minutes is one thing, but will I be seeing 7% for hours at a time?